By focusing his camera on the faces of 30 (or so) app users as they peruse the digital meat market and reflect on their perfect match, Velez allows their phones to become as much of a looking glass as they are a portal. The result of his little experiment is a warm and compulsively watchable movie that flirts with modern ironies (e.g., our dystopian reliance on algorithms to find real human connection) and asks timeless questions (“u up?”) in order to shine a softer light onto the same tech-era truth that already gave birth to the likes of “Black Mirror”: What someone is searching for can tell you everything about how they see themselves.

Back to that first shot: “Searchers” opens on a 24-year-old guy named Shaq Shaq as he stares just off-camera and passes judgment on the women whose Tinder profiles someone is scrolling through for him offscreen. Velez’s decision to take his subjects’ phones out of their hands is a masterstroke, as that added gap in the decision-making process leaves all sorts of room for the kind of self-reflection that people would rather delegate to their fingers (a faint image of their screens is superimposed over the interview footage). It isn’t long before Shaq Shaq is opening up about getting dumped, as his thoughts on each profile sketch into a quick self-portrait of his own vulnerability. It’s possible he didn’t have a clear sense of his own hurt until he found himself looking for something casual and low-risk — something that might restore the confidence he’s just realizing has been lost. “Searchers” is full of gently humane moments like that, as Velez’s static camera and sympathetic bedside manner invite his diverse cross-section of subjects to volunteer their most personal feelings by rendering a stream of verdicts about other people. We meet a 35-year-old gay man named Ruddy who rolls his eyes at a tacky picture of a guy posing in front of a super basic tourist destination, only to remember how much he loves to travel. We meet a girl in her 20s who swipes through SeekingArrangement in search of a sugar daddy whose pockets are deep enough to pay her a decent “allowance.” Cathleen, 74, focuses our attention on the involuntary sounds people make as they look for a partner, and the extremely voluntary euphemisms that men her age use when they’re talking about sex. Velez interviews straight men, trans women, people who still live with their parents, parents who still live with their kids, and even “I Am a Sex Addict” filmmaker Caveh Zahedi, who some cinephiles will recognize as a demographic unto himself. Some of them are on, others on Grindr, Hinge, Bumble, and a handful of apps that will leave coupled viewers feeling like they managed to sneak aboard the last chopper out of Saigon.

**What comes next are molecular data, not part of the article**
No. 1
Molecular formula: C24H33ClI2LuOP3
Method: DFT, ωB97M-V with the def2-TZVPD basis set

Calculated values
2S+1 = 1
LUMO energy = -8.768 eV
HOMO level = -0.52767 Ha
net charge = +2
energy above the lowest of the compared OMol25 structures with the same formula, charge and spin = 66.2 kJ/mol
gap between HOMO and LUMO = 5.6 eV

XYZ file:
```
65
C24H33ClI2LuOP3, DFT ωB97M-V with the def2-TZVPD basis set
C -0.914 -5.142 2.046
C -4.041 -1.359 5.592
H 2.572 -4.251 3.806
H 3.254 -2.161 1.008
C 2.644 -0.804 5.674
C 3.545 -0.075 -1.581
Lu -0.157 -0.630 0.788
C -1.945 -0.952 4.484
H -4.355 -1.153 1.995
H -3.890 -2.326 0.820
H 0.497 -7.641 4.712
C 3.796 -2.691 4.726
C 1.430 -1.375 5.295
H 2.678 0.137 6.231
C 3.551 1.624 0.318
H -1.341 -0.242 3.954
H -4.479 -3.406 6.027
H -4.959 -0.994 6.087
C 0.131 -6.910 3.980
C -0.982 -6.522 1.847
H -4.703 0.110 -1.756
H -0.617 -8.490 2.662
C -1.582 -2.302 4.553
C -3.759 1.457 0.411
H 3.270 -0.953 -2.175
C 3.722 -1.174 1.045
C -0.297 -4.612 3.219
C 0.224 -5.518 4.181
H 3.820 -0.947 2.116
H -2.211 -4.286 5.070
H -3.353 0.572 4.937
I -0.033 -1.759 -1.989
H 0.749 -5.161 5.093
P 2.705 -0.033 0.074
H 0.473 -0.933 5.592
H 3.201 0.828 -2.102
H -3.254 -0.768 -2.365
H -1.259 -4.488 1.242
H 4.642 1.507 0.356
C -4.261 -1.300 0.901
P -3.027 -0.217 0.081
C 1.361 -2.531 4.488
H -5.141 -1.189 0.295
P -0.171 -2.884 3.616
H 3.228 2.139 1.230
H -3.419 1.897 1.357
H -1.397 -6.907 0.907
H -3.500 2.109 -0.438
O -0.181 -1.985 2.333
H 4.687 -3.294 4.504
C -3.136 -0.482 5.001
H 4.635 -0.018 -1.459
I -0.028 0.978 -2.741
H 4.642 -1.176 0.490
C -0.494 -7.411 2.824
C 2.566 -3.242 4.301
C -2.506 -3.215 5.098
H -3.148 0.967 -2.003
H -4.858 1.392 0.426
C -3.728 -2.728 5.596
C 3.854 -1.445 5.366
H 4.833 -1.035 5.661
C -3.613 0.014 -1.689
H 3.336 2.245 -0.563
Cl 0.198 1.192 2.352
```



No. 2
Molecular formula: C24H33F5N4O4S2SiTc
Method: DFT, ωB97M-V with the def2-TZVPD basis set

Calculated values
2S+1 = 2
LUMO energy (alpha / beta) = -7.905 / -7.587 eV
HOMO level (alpha / beta) = -0.52386 / -0.52431 Ha
net charge = +2
energy above the lowest of the compared OMol25 structures with the same formula, charge and spin = 0.0 kJ/mol
gap between HOMO and LUMO (alpha / beta) = 6.4 / 6.7 eV

XYZ file:
```
74
C24H33F5N4O4S2SiTc, DFT ωB97M-V with the def2-TZVPD basis set
C -3.062 -0.775 -1.078
C 2.185 0.438 -6.108
N -0.181 -2.525 -3.045
C -4.895 0.268 0.044
O 0.388 0.304 -1.854
F -6.178 0.502 0.140
S 1.168 -1.558 3.918
C 0.341 -4.490 0.116
C -2.672 0.585 0.831
C -2.332 2.484 -3.779
N 0.942 0.863 2.804
C -2.115 2.130 -5.240
C 0.539 -2.448 1.629
H -0.236 1.970 0.033
C 2.429 2.695 -0.318
C 1.393 4.879 -0.951
C 2.236 1.290 -4.853
C 0.838 -0.454 2.645
C -2.142 -0.220 -0.181
H 2.236 5.098 -1.605
H -0.949 3.496 -0.455
H -3.823 0.956 -3.474
C 2.545 2.741 -5.180
O -1.382 1.722 -2.960
H 1.832 -0.567 -5.874
H 0.076 3.443 0.988
C 1.183 3.371 -0.868
H 3.181 0.358 -6.546
C -4.417 -0.532 -0.990
O 0.880 1.223 -4.298
H 4.234 0.923 -4.133
H 3.095 -0.361 -3.730

All of these people are looking for different things, but all of them are reflecting on themselves; if most of us default to a self-conscious mode during in-person dates, always wondering if we’re doing enough to make a good impression, the app experience seems to give users the space to put themselves first, and filter the strangers inside their phone through the prism of what they want. Velez doesn’t worry too much about the potential implications of that phenomenon (could it inspire people to obsess over their own shadow or miss the forest for the trees?), as he’s more interested in the idea of these apps as a funnel that challenges people to think about how they’ll fit themselves through it and what they’ll look like when they come out the other side. In an endearing touch, it helps that Velez isn’t just a director — he’s also a client. Seeing the filmmaker get hung up over the profile prompt “I like to make…” is a bittersweet testament to how deep these innocuous questions can dig. It feels telling that he lands on “New York Times recipes” and not, say, “films.”  This documentary might do more for him in the dating department than OKCupid ever has. And here’s hoping that it does, because finding a partner has never been this hard before. “Searchers” appears to have been shot entirely during the pandemic, and despite only featuring a few errant glimpses of the city in motion — or perhaps because of that — Velez’s documentary gradually doubles as a vivid snapshot of the isolation that stretched across New York’s (first?) COVID summer. For all of the warmth in Velez’s film, the glimpse of the Free Hugs people doing their thing in Washington Square Park during the middle of a pandemic might be the single most frightening thing you see on a screen this year. But that cursed image aside, this sweet nothing of a movie never sinks into despair. Online dating probably seems like a dead end in the middle of a purgatory, but there’s something hopeful about the idea that — if you search for people on your phone for long enough — there’s a chance you could end up seeing yourself. At the very least, it’s comforting to know that so many other ghosts in this town are stuck inside and looking for the same thing.

Grade: B

Calculated molecules that have nothing to do with the page:
'''
[1]
Formula: C19H34BBr2CaCl7F5NO4PS
Source: the Open Molecules 2025 dataset
Level of theory: ωB97M-V with the def2-TZVPD basis set

Last column: Mulliken charge in e.
Atoms and positions in Å:
O (1.51726, -4.45658, 4.70271)  -0.60
S (-0.02328, -4.69965, 4.47641)  1.04
O (-0.59101, -4.98899, 5.92034)  -0.56
Cl (-0.27145, -6.30951, 3.16812)  -0.11
C (-0.75806, -3.13070, 3.72727)  -0.49
C (-1.51473, -2.16112, 4.81098)  0.25
C (-3.14966, -2.28938, 4.83781)  -0.38
C (-3.72491, -3.81582, 5.00417)  -0.44
P (-5.15761, -4.14408, 3.72581)  -0.07
H (0.14445, -2.52576, 3.24000)  0.22
H (-1.44038, -3.45932, 2.80976)  0.42
H (-1.27225, -1.02876, 4.52041)  -0.18
H (-1.08943, -2.35428, 5.90773)  0.17
H (-3.59755, -1.78148, 3.85938)  0.32
H (-3.51099, -1.68731, 5.80304)  -0.05
H (-4.21000, -3.93444, 6.06537)  0.38
H (-2.94116, -4.66649, 4.82664)  0.13
H (-5.41447, -2.95354, 2.93505)  0.03
H (-4.77028, -5.24951, 2.88709)  0.04
B (-2.61445, -6.87030, 0.06469)  0.62
F (-2.29899, -8.27927, 0.23501)  -0.34
F (-3.57510, -6.46297, 1.07706)  -0.17
F (-1.40089, -6.08184, 0.20300)  -0.38
F (-3.18290, -6.65722, -1.25640)  -0.31
N (-2.01445, 0.30467, 7.35213)  -0.48
H (-1.03652, 0.49525, 7.10413)  0.36
H (-2.61395, 0.47492, 6.53620)  0.35
H (-2.10820, -0.67424, 7.64742)  0.37
H (-2.29922, 0.92281, 8.12098)  0.40
O (-0.32330, 0.40776, 4.22439)  -0.70
C (-0.26914, 0.57144, 3.01672)  0.42
O (-0.39532, -0.43036, 2.09766)  -0.31
C (-0.17169, 0.10072, 0.79239)  -0.26
C (-0.43904, 1.57818, 0.91294)  0.29
C (-0.01091, 1.87696, 2.32745)  -0.54
H (0.86219, -0.11225, 0.50103)  0.00
H (-0.84724, -0.37922, 0.07831)  0.39
H (0.08664, 2.17349, 0.16166)  -0.30
H (-1.51353, 1.77071, 0.80612)  0.24
H (1.05595, 2.10892, 2.38932)  0.31
H (-0.60819, 2.67948, 2.76635)  0.38
F (-0.66590, 5.24145, -1.09005)  -0.28
C (0.30224, 5.13715, -2.01007)  0.95
C (1.25083, 4.12706, -1.89363)  -0.29
C (2.25603, 4.01493, -2.85415)  -0.53
C (2.30780, 4.92189, -3.91553)  -0.89
C (1.35406, 5.93540, -4.02089)  -0.51
C (0.34259, 6.04035, -3.06645)  -0.52
H (1.19960, 3.43691, -1.05786)  0.37
H (2.99781, 3.22395, -2.77641)  0.40
H (3.09462, 4.83679, -4.66202)  0.65
H (1.39880, 6.64263, -4.84558)  0.42
H (-0.41206, 6.81658, -3.13789)  0.27
Br (2.87814, 0.52495, -2.58088)  -0.09
C (4.23797, -0.23625, -3.75378)  -0.55
C (4.04819, 0.22215, -5.18075)  -0.51
Br (2.58016, -0.73264, -6.03980)  -0.12
H (4.18966, -1.32240, -3.63648)  0.30
H (5.19030, 0.12566, -3.35620)  0.40
H (4.93043, -0.01407, -5.78234)  0.39
H (3.82941, 1.29020, -5.26874)  0.24
C (4.01367, -2.76909, -0.45007)  -0.13
Cl (4.11479, -3.84295, -1.85577)  -0.11
Cl (5.15902, -1.42657, -0.60901)  -0.11
Cl (2.36239, -2.15789, -0.25155)  -0.07
H (4.27780, -3.34332, 0.44163)  0.40
Cl (2.30418, 4.00718, -7.05542)  -0.13
C (0.78384, 4.56918, -7.79370)  -0.52
C (1.00494, 5.73030, -8.74999)  -0.39
Cl (1.48599, 7.21966, -7.89934)  -0.18
H (0.09333, 4.83661, -6.98776)  0.28
H (0.36106, 3.71742, -8.33484)  0.37
H (0.07595, 5.95606, -9.28196)  0.30
'''
End of the calculated molecules:

“Searchers” premiered in the NEXT section of the 2021 Sundance Film Festival. It is currently seeking U.S. distribution. Sign Up: Stay on top of the latest breaking film and TV news! Sign up for our Email Newsletters here.